Indian Believers Ministries





What  is our Sunday Service like?

‘JOY of the Lord is my strength’- that is the one word to describe our Sunday Service. Why do we say that? We believe that a person may come in to our service burdened by some worry, hurt or shame, that person will not go back without being filled with joy—not earthly happiness, but filled with the joy of our Lord God Jesus Christ.

“My House will be called a House of Prayer for all nations”- Prayer is our lifeline and we come together as the Body of Christ and intercede for all needs that have been made known to us.

“Sing a new song to the Lord” - Our worship team provides a perfect runway which enables our congregation to lift-off and be in the presence of the Holy One Jesus Christ.  Our worship team comprises of people who God has blessed with multiple talents which they use to glorify His name. Its not a performance but as an act of worship.

“Enter His courts with thanksgiving”- We encourage sharing of God’s goodness in our lives and the lives of our loved ones with the extended family. Being a small church we have the advantage of being heard and spoken to personally. All glory is given to God.

“Your Word is a lamp to my feet” - Finally, we look into the Word of God through a message delivered by our pastor or our leaders or an invited guest speaker. 




We understand the importance of introducing the love of Jesus to children in their young days. We believe that the Word planted in their hearts will take them a long way. The Word will not only direct and guide their life, but it will guard their hearts from the temptations of Satan , and thus they will lead a life which is pleasing to God.

While, currently there are few children, God has equipped us with trained teachers who can take care of the children who come with their parents to attend our church service. Bible based teaching is imparted to the young ones through story telling and fun filled activities.

Materials data from another source follow
-- begin --
Theoretical X-ray powder pattern of Tm4Sc2In for Cu Kα X-rays, from a crystal structure in Alexandria, relaxed with GGA-PBE.
Peak positions follow from Bragg's law for the DFT cell and can differ from measured ones.

Structural model:
Unit cell a=5.2961 b=6.6036 c=11.4246 alpha=90.00 beta=103.41 gamma=90.00
Sites, in units of the cell vectors:
Tm: 0.0687 0.2500 0.1384
Tm: 0.2128 0.7500 0.4265
Tm: 0.3543 0.5066 0.7080
Tm: 0.3543 0.9934 0.7080
Tm: 0.6457 0.0066 0.2920
Tm: 0.6457 0.4934 0.2920
Tm: 0.7872 0.2500 0.5735
Tm: 0.9313 0.7500 0.8616
Sc: 0.2152 0.2500 0.4300
Sc: 0.4870 0.2500 0.9752
Sc: 0.5130 0.7500 0.0248
Sc: 0.7848 0.7500 0.5700
In: 0.0766 0.7500 0.1523
In: 0.9234 0.2500 0.8477

Top 12 peaks for 2θ from 5° to 70°, in order of falling intensity:
- 2θ = 32.9°, d = 2.723 Å, I = 100, (1 0 3)
- 2θ = 32.2°, d = 2.780 Å, I = 61, (1 2 0)
- 2θ = 33.9°, d = 2.648 Å, I = 48, (2 0 -1)
- 2θ = 34.2°, d = 2.621 Å, I = 44, (1 2 1)
- 2θ = 66.2°, d = 1.412 Å, I = 26, (1 4 3)
- 2θ = 36.5°, d = 2.465 Å, I = 25, (0 2 3)
- 2θ = 31.5°, d = 2.838 Å, I = 23, (0 2 2)
- 2θ = 50.6°, d = 1.804 Å, I = 20, (2 2 -4)
- 2θ = 60.0°, d = 1.543 Å, I = 20, (3 0 2)
- 2θ = 46.9°, d = 1.936 Å, I = 15, (2 2 1)
- 2θ = 20.6°, d = 4.308 Å, I = 15, (1 0 -2)
- 2θ = 66.8°, d = 1.401 Å, I = 13, (2 4 -1)

=====

The following is a simulated PXRD pattern of Na14CdPb. It was derived from a crystal structure in Alexandria, relaxed with GGA-PBE, using copper Kα.
Peak positions follow from Bragg's law for the DFT cell and can differ from measured ones.

Cell and atoms:
```
16
Lattice="10.4854 0.0000 0.0000 0.0000 5.1177 4.9670 0.0000 -5.1177 4.9670" Properties=species:S:1:pos:R:3 pbc="T T T"
Na 0.0000 0.0000 0.0000
Na 0.0000 0.0000 4.9290
Na 0.0000 -2.5421 7.4323
Na 0.0000 2.5421 7.4323
Na 2.8385 -2.5366 4.9433
Na 2.8385 2.5366 4.9433
Na 2.8432 0.0000 7.4382
Na 2.8495 0.0000 2.4453
Na 5.2427 -2.5570 7.4307
Na 5.2427 2.5570 7.4307
Na 7.6358 0.0000 2.4453
Na 7.6469 -2.5366 4.9433
Na 7.6469 2.5366 4.9433
Na 7.6422 0.0000 7.4382
Cd 5.2427 0.0000 9.9093
Pb 5.2427 0.0000 4.9484
```

Largest 8 diffraction maxima, low angle first, 10 to 80 degrees two-theta:
2θ (°), I (rel.)
16.9, 18
19.3, 25
19.8, 23
26.4, 19
30.3, 100
35.1, 17
36.0, 18
36.2, 22

=====

Entry 1:
# Sm2SbH2
Theoretical XRD peak list, copper Kα. Input: a structure optimized by DFT (GGA-PBE).

Main lines, low angle first (2θ = 15–90°):
2θ = 30.8°, rel. 64
2θ = 31.7°, rel. 100
2θ = 38.3°, rel. 36
2θ = 50.5°, rel. 16
2θ = 50.6°, rel. 16
2θ = 55.8°, rel. 12
2θ = 56.5°, rel. 13
2θ = 56.7°, rel. 8
2θ = 65.7°, rel. 7
2θ = 65.8°, rel. 7
2θ = 66.1°, rel. 8
2θ = 71.0°, rel. 10

Structure:
abc: 7.590 6.513 6.043
angles: 74.27 55.70 50.03
Positions (direct):
Sm 0.062 0.688 0.062
Sm 0.312 0.938 0.312
Sm 0.688 0.062 0.688
Sm 0.938 0.312 0.938
Sb 0.375 0.375 0.375
Sb 0.625 0.625 0.625
H 0.006 0.006 0.244
H 0.244 0.244 0.006
H 0.756 0.756 0.994
H 0.994 0.994 0.756

Entry 2:
# Na5TcO6
-- stop --

Listen to what one of our church family member says about the importance of teaching the children about Jesus.



Cells may be smallest particles of our body, but they are vital part to our existence. Without them, we will not survive. True to the name of our small group meetings, our “Cell Groups’ are just like cells in our body. They survive together and grow together, making the body stronger. 

We meet in smaller cell groups in homes where a targeted bible study is conducted. Its a place where people open their hearts and share their fears and pains without fear or hesitation. Whatever personal information is shared in these Cell Groups is kept completely confidential.

Cell Groups are conducted in the evenings of working days (Thursdays and Fridays) and are usually for 90 minutes. All are welcomed, however pre-intimation would be appreciated.

Listen to what one of our church family member says about the importance of attending a Cell Group.




In line with our Vision and our Mission Statement, we follow an attitude of outward reaching church. We look for opportunities where we can introduce the love of Jesus Christ to the lost. We encourage two types of Evangelical Outreaches-

Outward looking outreaches :  We visit old age homes, handicapped people homes, hospitals, poor people living on the streets, etc. We not only share food, clothes and gifts with them, but we also share our love with them.

Inward looking outreaches : We hold special evangelical meetings commemorating occasions like Christmas, Easter, Indian Independence Day, Fathers Day, Mothers Day, etc. Here we invite people to come and be part of our celebrations, and be able to feel the love our our Father God. 

Listen to what one of our Church Family member says about our outreaches.
